**Listing:**
+++
This record from the Alexandria database describes a geometry-optimized ScAlRe2 structure. The functional is PBE.

Unit cell a=2.760 b=2.760 c=8.410 alpha=90.00 beta=90.00 gamma=90.00
Space group P4/mmm (No. 123)
Asymmetric unit:
Sc 0.000 0.000 0.000 (multiplicity 1)
Al 0.000 0.000 0.500 (multiplicity 1)
Re 0.500 0.500 0.269 (multiplicity 2)

Calculated values
Total moment, μB/f.u.: 0.00
VASP energy, eV per atom: -8.636
Energy of formation from the pure elements, eV/atom: 0.11

This record from the Alexandria database describes a geometry-optimized HfTeAsI2 structure. The functional is PBE.

Unit cell a=5.761 b=5.761 c=5.564 alpha=90.00 beta=90.00 gamma=90.00
Space group P4/mmm (No. 123)
Asymmetric unit:
Hf 0.000 0.000 0.000 (multiplicity 1)
Te 0.000 0.000 0.500 (multiplicity 1)
As 0.500 0.500 0.500 (multiplicity 1)
I 0.000 0.500 0.000 (multiplicity 2)

Calculated values
Relative energy among the computed polymorphs, meV/atom: 0
Total moment, μB/f.u.: 2.93
VASP energy, eV per atom: -4.025
Uncorrected formation energy, eV/atom: 0.144

This record from the Alexandria database describes a geometry-optimized CsTiSn2I8 structure. The functional is PBE.

Unit cell a=7.417 b=8.307 c=10.428 alpha=71.64 beta=78.99 gamma=75.03
Space group P-1 (No. 2)
Asymmetric unit:
Cs 0.000 0.000 0.000 (multiplicity 1)
Ti 0.000 0.000 0.500 (multiplicity 1)
Sn 0.445 0.426 0.240 (multiplicity 2)
I 0.141 0.725 0.734 (multiplicity 2)
I 0.247 0.829 0.329 (multiplicity 2)
I 0.266 0.192 0.499 (multiplicity 2)
I 0.433 0.253 0.034 (multiplicity 2)

Calculated values
Total moment, μB/f.u.: 1.00
VASP energy, eV per atom: -3.124
Uncorrected formation energy, eV/atom: -0.694

Question: Among the records above, which one has the lowest total moment?
Answer: ScAlRe2

Question: total moment of number 2 (HfTeAsI2)?
Answer: 2.93 μB/f.u.

Question: Among the records above, which one has the highest total moment?
Answer: HfTeAsI2

* * * * *

Material: Ba2YZr
Method: DFT, GGA-PBE
State: optimized geometry

Cell: 6.695 6.695 6.695 Å, 134.11 134.11 66.92°
Fractional positions:
Ba1 0.250 0.750 0.500
Ba2 0.750 0.250 0.500
Y1 0.000 0.000 0.000
Zr1 0.500 0.500 0.000

Output
Total magnetization: 0.8 Bohr magnetons per cell
Formation energy: 0.584 eV per atom
Final energy: -4.1306 eV/atom
V: 152.2 Å³ per cell

* * * * *

1.
Density functional theory data (GGA-PBE) for a relaxed structure of LiMgRe.

Properties
For the energy above the most stable polymorph in this dataset, the calculation gives 365 kJ/mol of formula units. Its formation energy is 1.32 eV/atom.

Cell and atoms, written as POSCAR:
```
LiMgRe
1.0
0.0000 2.9705 2.9705
2.9705 0.0000 2.9705
2.9705 2.9705 0.0000
Li Mg Re
1 1 1
Cartesian
0.0000 0.0000 0.0000
4.4557 4.4557 4.4557
1.4852 1.4852 1.4852
```

***

2.
Density functional theory data (GGA-PBE) for a relaxed structure of CoCuRe3.

Properties
For the energy above the most stable polymorph in this dataset, the calculation gives 0 kJ/mol of formula units. Its formation energy is 1.77 eV/atom.

Cell and atoms, written as POSCAR:
```
CoCuRe3
1.0
4.3861 0.0000 0.0000
0.0000 4.3861 0.0000
0.0000 0.0000 4.3861
Co Cu Re
1 1 3
Cartesian
0.0000 0.0000 0.0000
2.1930 2.1930 2.1930
0.0000 0.0000 2.1930
0.0000 2.1930 0.0000
2.1930 0.0000 0.0000
```

***

3.
Density functional theory data (GGA-PBE) for a relaxed structure of V3AsC.

Properties
For the energy above the most stable polymorph in this dataset, the calculation gives 150 kJ/mol of formula units. Its formation energy is -0.20 eV/atom.

Cell and atoms, written as POSCAR:
```
V3AsC
1.0
3.9741 0.0000 0.0000
0.0000 3.9741 0.0000
0.0000 0.0000 3.9741
V As C
3 1 1
Cartesian
0.0000 0.0000 1.9870
0.0000 1.9870 0.0000
1.9870 0.0000 0.0000
1.9870 1.9870 1.9870
0.0000 0.0000 0.0000
```

***

4.
Density functional theory data (GGA-PBE) for a relaxed structure of Rb2MgF.

Properties
+++

**Exercise:**
Reproduce the contents further up from the line with "Method: DFT," to the end without additions.

**Completed:**
Method: DFT, GGA-PBE
State: optimized geometry

Cell: 6.695 6.695 6.695 Å, 134.11 134.11 66.92°
Fractional positions:
Ba1 0.250 0.750 0.500
Ba2 0.750 0.250 0.500
Y1 0.000 0.000 0.000
Zr1 0.500 0.500 0.000

Output
Total magnetization: 0.8 Bohr magnetons per cell
Formation energy: 0.584 eV per atom
Final energy: -4.1306 eV/atom
V: 152.2 Å³ per cell

* * * * *

1.
Density functional theory data (GGA-PBE) for a relaxed structure of LiMgRe.

Properties
For the energy above the most stable polymorph in this dataset, the calculation gives 365 kJ/mol of formula units. Its formation energy is 1.32 eV/atom.

Cell and atoms, written as POSCAR:
```
LiMgRe
1.0
0.0000 2.9705 2.9705
2.9705 0.0000 2.9705
2.9705 2.9705 0.0000
Li Mg Re
1 1 1
Cartesian
0.0000 0.0000 0.0000
4.4557 4.4557 4.4557
1.4852 1.4852 1.4852
```

***

2.
Density functional theory data (GGA-PBE) for a relaxed structure of CoCuRe3.

Properties
For the energy above the most stable polymorph in this dataset, the calculation gives 0 kJ/mol of formula units. Its formation energy is 1.77 eV/atom.

Cell and atoms, written as POSCAR:
```
CoCuRe3
1.0
4.3861 0.0000 0.0000
0.0000 4.3861 0.0000
0.0000 0.0000 4.3861
Co Cu Re
1 1 3
Cartesian
0.0000 0.0000 0.0000
2.1930 2.1930 2.1930
0.0000 0.0000 2.1930
0.0000 2.1930 0.0000
2.1930 0.0000 0.0000
```

***

3.
Density functional theory data (GGA-PBE) for a relaxed structure of V3AsC.

Properties
For the energy above the most stable polymorph in this dataset, the calculation gives 150 kJ/mol of formula units. Its formation energy is -0.20 eV/atom.

Cell and atoms, written as POSCAR:
```
V3AsC
1.0
3.9741 0.0000 0.0000
0.0000 3.9741 0.0000
0.0000 0.0000 3.9741
V As C
3 1 1
Cartesian
0.0000 0.0000 1.9870
0.0000 1.9870 0.0000
1.9870 0.0000 0.0000
1.9870 1.9870 1.9870
0.0000 0.0000 0.0000
```

***

4.
Density functional theory data (GGA-PBE) for a relaxed structure of Rb2MgF.

Properties